

电费涨完 水费涨 !塔州人民伤不起

Mao 2012-3-24 08:29:17 阅读 10018 来自: 澳大利亚


Water bills to rise $100

These records of molecules were left in the text by mistake:
____________
(1)
DFT (ωB97M-V with the def2-TZVPD basis set) results for a molecular structure, C18H28BrI2N2O3 at a distorted geometry.

CARTESIAN COORDINATES (ANGSTROEM)
C (6.505, -1.831, 1.308)
C (6.718, -0.356, 0.735)
I (8.758, 0.454, 0.576)
C (5.622, 0.446, 0.305)
I (6.086, 2.469, -0.442)
N (4.197, 0.024, 0.346)
C (3.630, -1.036, -0.446)
C (2.113, -1.417, -0.403)
C (1.584, -2.600, -1.334)
C (2.164, -4.024, -0.843)
C (2.375, -4.046, 0.768)
Br (3.826, -4.500, -1.846)
C (1.156, -0.649, 0.548)
C (-0.395, -0.924, 0.758)
O (-0.853, -0.670, 1.908)
O (-1.307, -1.389, -0.216)
C (1.807, 0.495, 1.419)
C (3.335, 0.765, 1.269)
O (3.859, 1.833, 2.074)
H (7.166, -2.575, 0.716)
H (5.417, -2.177, 1.267)
H (6.943, -1.842, 2.378)
H (4.281, -1.650, -1.167)
H (2.019, -2.396, -2.389)
H (0.453, -2.642, -1.467)
H (1.377, -4.824, -1.090)
H (1.443, -3.597, 1.286)
H (3.346, -3.506, 1.073)
H (2.486, -5.139, 1.094)
H (-1.091, -1.057, -1.118)
H (1.166, 1.095, 2.141)
H (4.237, 1.399, 2.882)
C (-5.897, 3.088, -2.415)
C (-4.604, 2.944, -1.623)
N (-4.816, 2.752, -0.192)
C (-3.604, 2.929, 0.602)
C (-2.460, 1.944, 0.374)
C (-5.657, 1.623, 0.191)
C (-5.243, 0.232, -0.285)
H (-6.530, 3.875, -1.998)
H (-5.671, 3.356, -3.451)
H (-6.469, 2.156, -2.437)
H (-4.031, 3.867, -1.775)
H (-4.008, 2.131, -2.058)
H (-3.865, 2.926, 1.666)
H (-3.222, 3.940, 0.414)
H (-2.678, 0.965, 0.800)
H (-1.556, 2.311, 0.873)
H (-2.219, 1.822, -0.685)
H (-6.672, 1.815, -0.174)
H (-5.766, 1.605, 1.281)
H (-4.982, 0.212, -1.346)
H (-6.074, -0.465, -0.143)
H (-4.400, -0.159, 0.287)

Values from the calculation:
Charge: +1
Kohn-Sham gap in Ha: 0.1592
Lowest unoccupied orbital energy in eV: -5.42
HOMO energy in eV: -9.75

=====

(2)
DFT (ωB97M-V with the def2-TZVPD basis set) results for a molecular structure, C18H28CaNO4P2 at a distorted geometry.

CARTESIAN COORDINATES (ANGSTROEM)
Ca (0.104, 0.046, 0.411)
P (-2.528, -0.054, -0.680)
C (-2.238, 0.749, -2.337)
C (-0.837, 1.004, -2.740)
N (0.248, 0.741, -1.955)
C (1.513, 0.961, -2.426)
C (1.721, 1.584, -3.653)
C (0.634, 1.897, -4.462)
C (-0.639, 1.591, -3.998)
C (2.715, 0.566, -1.575)
P (2.587, -1.030, -0.629)
H (-1.534, 1.807, -4.590)
H (2.737, 1.785, -3.949)
H (0.780, 2.375, -5.438)
H (3.581, 0.475, -2.226)
H (2.915, 1.358, -0.838)
H (-2.659, 0.078, -3.072)
H (-2.761, 1.630, -2.372)
H (-1.736, -4.753, -4.797)
O (-0.878, -4.293, -4.723)
H (-0.912, -3.720, -3.920)
H (-0.325, -4.822, -0.679)
O (-0.169, -3.217, -0.303)
H (-0.636, -4.115, -0.431)
C (2.916, -2.242, -1.964)
H (3.488, -1.795, -2.786)
H (3.473, -3.097, -1.556)
H (1.956, -2.612, -2.347)
C (4.213, -0.953, 0.184)
H (4.384, -1.901, 0.708)
H (5.029, -0.778, -0.530)
H (4.205, -0.147, 0.930)
C (-3.462, 1.359, 0.057)
H (-4.530, 1.203, -0.095)
H (-3.239, 1.426, 1.123)
H (-3.144, 2.285, -0.422)
C (-3.920, -1.201, -1.043)
H (-4.104, -1.828, -0.160)
H (-4.838, -0.645, -1.278)
H (-3.656, -1.860, -1.881)
O (0.856, -0.204, 2.573)
C (0.072, 0.756, 2.946)
O (-0.679, 1.371, 2.107)
C (0.017, 1.171, 4.362)
C (-0.613, 2.384, 4.672)
____________

TASMANIAN householders face water and sewerage price rises of up to $100 a year for the next three years under plans revealed yesterday.

The Tasmanian Economic Regulator released its draft pricing determinations for public comment.

Typical annual bills in southern Tasmania using 200 kilolitres are likely rise about 5 per cent a year from around $942 a year in 2012-13 to $992 in 2013-14 and $1046 in 2014-15.

Customers currently paying below those amounts will have their fixed charges progressively increased by $50 per water and $50 per sewerage service each year or 10 per cent, whichever is greater. Those paying more will see their bills frozen until 2013/14. Customers in some regional areas face steeper rises.

TER chair Glenn Appleyard said despite a need to increase revenues to support capital works, price rises would be as gradual as could be managed.

"The extent of the variations in previous pricing arrangements; the level of revenue under-recovery inherited from councils; and the legislative requirements placed on the regulator, means the proposed approach to price regulation and reform will be based on capping annual increases in prices, to minimise price shocks for customers," he said.

Premier Lara Giddings said long-term neglect of water and sewerage infrastructure by many councils was the reason water charges had to rise.

"Let's not forget the reason why we're having price increases in water and sewerage is because councils underfunded or underinvested by the tune of $1 billion in water and sewerage infrastructure," she said.

"That's why we had raw sewerage coming out of pipes at Salamanca Place and why we had communities like Swansea and Cressy unable to drink the water from taps.

"Obviously any price rise whether it is electricity or water and sewerage has an impact on the household budget.

"That's why we've made cost of living issues a number one priority alongside trying to create more jobs."

The following is a DFT calculation (ωB97M-V with the def2-TZVPD basis set) of a 3-piece molecular cluster, C6H5Cl2N2O2 overall.

Each line ends with the Löwdin charge.
Element x y z (Å)
C 2.0398 -0.9617 0.4658  -0.170
C 0.6717 -1.1111 0.1202  -0.100
C 2.6147 0.2799 0.5769  -0.689
C -5.2436 0.5054 -0.4749  -0.679
C 1.8888 2.5940 0.8344  -0.011
C -0.2091 -0.1706 -0.3146  -0.035
N 2.1139 1.4685 0.3092  -0.086
N -1.4264 0.2672 -0.2673  0.142
O -4.4685 0.7676 -1.2869  0.112
O -6.2569 0.3160 0.0446  0.104
Cl 4.4121 0.2446 0.4099  0.540
Cl -3.8035 -0.0896 1.5853  -0.174
H 2.5521 -1.7655 0.7331  0.033
H 0.2129 -1.9816 0.3437  0.076
H 1.4754 3.3233 0.2425  -0.043
H -2.0422 0.1047 0.5122  -0.095
H -1.7964 0.6376 -1.0912  0.075

Output
ΔE to the lowest compared entry with this formula, charge and spin = 71.79 kcal per mole
Charge = -1
Kohn-Sham gap (alpha / beta) = 6.77 / 6.34 eV
E_HOMO (alpha / beta) = -3.9 / -3.7 eV

The following is a DFT calculation (ωB97M-V with the def2-TZVPD basis set) of C6H5ClFO3S as an isolated structure.

Each line ends with the Löwdin charge.
Element x y z (Å)
C -0.1519 -1.7698 -0.5008  -0.135
C 0.1954 -0.8763 -1.5655  -0.105
C -0.6624 -1.4459 0.7219  -0.082
C -0.1791 0.4414 -1.5007  -0.192
C -1.0260 -0.1097 1.1470  -0.171
C -0.2835 1.0601 -0.2556  -0.725
O 2.1340 2.2066 -0.1888  -0.367
O 1.0676 1.7188 1.9752  -0.356
O 1.9296 -0.1225 0.6549  -0.346
F -2.3972 -0.0214 1.4971  -0.041
S 1.4134 1.2562 0.6602  0.410
Cl -1.1136 2.6150 -0.2922  0.629
H 0.4696 -2.6820 -0.4849  0.109
H 0.3349 -1.4297 -2.5306  0.109
H -1.1665 -2.2263 1.3242  0.111
H -0.2196 1.0118 -2.4247  0.103
H -0.3445 0.3739 1.7633  0.049

Output
Charge = -1
Kohn-Sham gap = 8.56 eV
E_HOMO = -5.1 eV

| no. | DFT total energy (eV) |
| --- | --- |
| 1 | -38420.9722 |
| 2 | -38519.7482 |

----------

1.
The following is a DFT calculation (ωB97M-V/def2-TZVPD) of a single C20H26N2S2 molecule.

Each line ends with the Mulliken charge.
Geometry (Å):
N  -3.131  -0.031  -0.790  -0.45
N  -4.579  -2.404  1.763  -0.63
S  -2.025  -2.376  -1.567  -0.07
S  -0.969  0.472  -2.288  -0.15
C  -2.107  -0.594  -1.449  0.24
C  -5.886  -2.041  1.633  -0.33
C  -3.715  -1.788  0.935  0.03
C  -6.294  -1.021  0.769  -0.39
C  -5.342  -0.353  0.006  -0.50
C  1.779  -1.395  -1.755  -1.16
C  0.598  -1.869  0.337  -0.82
C  2.659  -0.569  -1.085  -0.52
C  1.461  -1.001  0.992  0.01
C  -4.032  -0.744  0.029  0.21
C  0.714  -2.030  -1.047  0.58
C  2.521  -0.347  0.298  0.34
C  -0.265  -2.822  -1.876  -0.94
C  -0.541  1.754  0.151  -0.99
C  -0.388  3.174  -1.928  -1.53
C  4.951  -0.030  1.021  -1.74
C  3.070  0.867  2.482  -1.92
C  3.575  1.946  0.297  -1.47
C  -1.138  2.008  -1.226  0.50
C  3.520  0.582  1.036  2.08
H  -6.644  -2.562  2.219  0.35
H  -2.696  -2.067  1.034  0.58
H  -7.344  -0.729  0.710  0.35
H  -5.611  0.450  -0.688  0.40
H  1.859  -1.532  -2.836  0.23
H  -0.131  -2.390  0.908  0.49
H  3.452  -0.116  -1.670  0.30
H  1.329  -0.888  2.053  0.39
H  -0.154  -3.897  -1.666  0.49
_End of the molecular data_

Liberal treasury spokesman Peter Gutwein said merging the state's council-owned water corporations would reduce waste and help keep a lid on price rises.

"The draft water and sewerage price determination makes the case for merging the four water and sewerage corporations into one and passing on the anticipated saving of $20 million over four years back to Tasmanians," he said.

"A more efficient model is needed and this should be the wake-up call the Green-Labor Government and the local government owners of these corporations need to get on board with the Liberals' policy of an efficient one-corporation model."

http://www.themercury.com.au/art ... _tasmania-news.html


